**Entries:**
+++
[1]
Material: Er3Si3Pt2
Method: DFT, PBE
State: optimized geometry

Computed properties:
As for the space-group type: Cmcm (63). The uncorrected formation energy comes out at -1122 meV/atom. The distance to the lowest polymorph of the same formula comes out at 0.0 meV/atom.

Cell: 5.557 5.557 14.063 Å, 90.00 90.00 134.98°
Element x y z (fractional)
1 Er 0.090 0.910 0.611
2 Er 0.090 0.910 0.889
3 Er 0.369 0.631 0.750
4 Er 0.631 0.369 0.250
5 Er 0.910 0.090 0.111
6 Er 0.910 0.090 0.389
7 Si 0.336 0.664 0.250
8 Si 0.388 0.612 0.535
9 Si 0.388 0.612 0.965
10 Si 0.612 0.388 0.035
11 Si 0.612 0.388 0.465
12 Si 0.664 0.336 0.750
13 Pt 0.196 0.804 0.101
14 Pt 0.196 0.804 0.399
15 Pt 0.804 0.196 0.601
16 Pt 0.804 0.196 0.899

[2]
Material: LiTa2In
Method: DFT, PBE
State: optimized geometry

Computed properties:
As for the space-group type: Cmm2 (35). As for the formation energy from the elements: 0.125 eV per atom.

Cell: 2.884 2.884 9.404 Å, 90.00 90.00 103.32°
Element x y z (fractional)
1 Li 0.000 0.000 0.000
2 Ta 0.000 0.000 0.497
3 Ta 0.500 0.500 0.263
4 In 0.500 0.500 0.761

[3]
Material: CaAl3Au3
Method: DFT, PBE
State: optimized geometry

Computed properties:
As for the space-group type: Pm-3n (223). As for the formation energy from the elements: -0.277 eV per atom. The distance to the lowest polymorph of the same formula comes out at 251.6 meV/atom.

Cell: 7.019 7.019 7.019 Å, 90.00 90.00 90.00°
Element x y z (fractional)
1 Ca 0.000 0.000 0.000
2 Ca 0.500 0.500 0.500
3 Al 0.000 0.250 0.500
4 Al 0.000 0.750 0.500
5 Al 0.250 0.500 0.000
6 Al 0.500 0.000 0.250
7 Al 0.500 0.000 0.750
8 Al 0.750 0.500 0.000
9 Au 0.000 0.500 0.250
10 Au 0.000 0.500 0.750
11 Au 0.250 0.000 0.500
12 Au 0.500 0.250 0.000
13 Au 0.500 0.750 0.000
14 Au 0.750 0.000 0.500

[4]
Material: Na2Sb3Pd4
Method: DFT, PBE
State: optimized geometry

Computed properties:
As for the space-group type: Cmce (64). The uncorrected formation energy comes out at -452 meV/atom.

Cell: 8.685 8.685 7.332 Å, 90.00 90.00 137.03°
Element x y z (fractional)
1 Na 0.090 0.910 0.903
2 Na 0.410 0.590 0.403
3 Na 0.590 0.410 0.597
4 Na 0.910 0.090 0.097
5 Sb 0.000 0.000 0.500
6 Sb 0.007 0.493 0.750
7 Sb 0.493 0.007 0.250
8 Sb 0.500 0.500 0.000
9 Sb 0.507 0.993 0.750
10 Sb 0.993 0.507 0.250
11 Pd 0.170 0.830 0.513
12 Pd 0.174 0.326 0.750
13 Pd 0.326 0.174 0.250
14 Pd 0.330 0.670 0.013
15 Pd 0.670 0.330 0.987
16 Pd 0.674 0.826 0.750
17 Pd 0.826 0.674 0.250
18 Pd 0.830 0.170 0.487

[5]
Material: Ba3ZnSe4
Method: DFT, PBE
State: optimized geometry

Computed properties:
As for the space-group type: Pnma (62). The uncorrected formation energy comes out at -1614 meV/atom.

Cell: 9.051 11.343 9.965 Å, 90.00 90.00 90.00°
Element x y z (fractional)
1 Ba 0.032 0.045 0.202
2 Ba 0.032 0.455 0.202
3 Ba 0.102 0.750 0.432
4 Ba 0.398 0.250 0.932
5 Ba 0.468 0.545 0.702
6 Ba 0.468 0.955 0.702
7 Ba 0.532 0.045 0.298
8 Ba 0.532 0.455 0.298
9 Ba 0.602 0.750 0.068
10 Ba 0.898 0.250 0.568
11 Ba 0.968 0.545 0.798
12 Ba 0.968 0.955 0.798
13 Zn 0.200 0.750 0.990
14 Zn 0.300 0.250 0.490
15 Zn 0.700 0.750 0.510
16 Zn 0.800 0.250 0.010
17 Se 0.038 0.250 0.886
18 Se 0.184 0.055 0.521
19 Se 0.184 0.445 0.521
20 Se 0.201 0.750 0.734
21 Se 0.299 0.250 0.234
22 Se 0.316 0.555 0.021
23 Se 0.316 0.945 0.021
24 Se 0.462 0.750 0.386
25 Se 0.538 0.250 0.614
26 Se 0.684 0.055 0.979
27 Se 0.684 0.445 0.979
28 Se 0.701 0.750 0.766
29 Se 0.799 0.250 0.266
30 Se 0.816 0.555 0.479
31 Se 0.816 0.945 0.479
32 Se 0.962 0.750 0.114

[6]
Material: Tb2PuHf
Method: DFT, PBE
State: optimized geometry

Computed properties:
As for the space-group type: R-3m (166). As for the formation energy from the elements: 0.186 eV per atom. The distance to the lowest polymorph of the same formula comes out at 0.0 meV/atom.

Cell: 11.370 11.370 11.370 Å, 17.11 17.11 17.11°
Element x y z (fractional)
1 Tb 0.246 0.246 0.246
2 Tb 0.754 0.754 0.754
3 Pu 0.000 0.000 0.000
4 Hf 0.500 0.500 0.500
+++
**Activity:**
Your job: print the lines earlier on up to the one that holds "[5]", that line included.
**Outcome:**
[1]
Material: Er3Si3Pt2
Method: DFT, PBE
State: optimized geometry

Computed properties:
As for the space-group type: Cmcm (63). The uncorrected formation energy comes out at -1122 meV/atom. The distance to the lowest polymorph of the same formula comes out at 0.0 meV/atom.

Cell: 5.557 5.557 14.063 Å, 90.00 90.00 134.98°
Element x y z (fractional)
1 Er 0.090 0.910 0.611
2 Er 0.090 0.910 0.889
3 Er 0.369 0.631 0.750
4 Er 0.631 0.369 0.250
5 Er 0.910 0.090 0.111
6 Er 0.910 0.090 0.389
7 Si 0.336 0.664 0.250
8 Si 0.388 0.612 0.535
9 Si 0.388 0.612 0.965
10 Si 0.612 0.388 0.035
11 Si 0.612 0.388 0.465
12 Si 0.664 0.336 0.750
13 Pt 0.196 0.804 0.101
14 Pt 0.196 0.804 0.399
15 Pt 0.804 0.196 0.601
16 Pt 0.804 0.196 0.899

[2]
Material: LiTa2In
Method: DFT, PBE
State: optimized geometry

Computed properties:
As for the space-group type: Cmm2 (35). As for the formation energy from the elements: 0.125 eV per atom.

Cell: 2.884 2.884 9.404 Å, 90.00 90.00 103.32°
Element x y z (fractional)
1 Li 0.000 0.000 0.000
2 Ta 0.000 0.000 0.497
3 Ta 0.500 0.500 0.263
4 In 0.500 0.500 0.761

[3]
Material: CaAl3Au3
Method: DFT, PBE
State: optimized geometry

Computed properties:
As for the space-group type: Pm-3n (223). As for the formation energy from the elements: -0.277 eV per atom. The distance to the lowest polymorph of the same formula comes out at 251.6 meV/atom.

Cell: 7.019 7.019 7.019 Å, 90.00 90.00 90.00°
Element x y z (fractional)
1 Ca 0.000 0.000 0.000
2 Ca 0.500 0.500 0.500
3 Al 0.000 0.250 0.500
4 Al 0.000 0.750 0.500
5 Al 0.250 0.500 0.000
6 Al 0.500 0.000 0.250
7 Al 0.500 0.000 0.750
8 Al 0.750 0.500 0.000
9 Au 0.000 0.500 0.250
10 Au 0.000 0.500 0.750
11 Au 0.250 0.000 0.500
12 Au 0.500 0.250 0.000
13 Au 0.500 0.750 0.000
14 Au 0.750 0.000 0.500

[4]
Material: Na2Sb3Pd4
Method: DFT, PBE
State: optimized geometry

Computed properties:
As for the space-group type: Cmce (64). The uncorrected formation energy comes out at -452 meV/atom.

Cell: 8.685 8.685 7.332 Å, 90.00 90.00 137.03°
Element x y z (fractional)
1 Na 0.090 0.910 0.903
2 Na 0.410 0.590 0.403
3 Na 0.590 0.410 0.597
4 Na 0.910 0.090 0.097
5 Sb 0.000 0.000 0.500
6 Sb 0.007 0.493 0.750
7 Sb 0.493 0.007 0.250
8 Sb 0.500 0.500 0.000
9 Sb 0.507 0.993 0.750
10 Sb 0.993 0.507 0.250
11 Pd 0.170 0.830 0.513
12 Pd 0.174 0.326 0.750
13 Pd 0.326 0.174 0.250
14 Pd 0.330 0.670 0.013
15 Pd 0.670 0.330 0.987
16 Pd 0.674 0.826 0.750
17 Pd 0.826 0.674 0.250
18 Pd 0.830 0.170 0.487

[5]